Congressional Memo May Send Hillary Clinton to Prison

Misplaced calculated molecules =
=====
A 13-piece molecular cluster, C56H151N13O15 overall in a non-equilibrium geometry, computed with ωB97M-V with the def2-TZVPD basis set.

Lowest unoccupied orbital energy   0.5 eV
Relative energy (zero: lowest compared OMol25 entry of this formula, charge and spin)   137.9 kcal/mol
E_tot   -4064.06720 Eh
HOMO level   -8.721 eV

```
235
Properties=species:S:1:pos:R:3:lowdin_charge:R:1
H 12.5989 0.5583 8.3222 0.12
H -10.3185 -0.0281 -13.4175 0.12
C 10.6247 3.2784 7.5736 -0.06
H 1.6321 1.6341 9.3193 0.08
O 2.6054 8.6493 -9.8559 -0.19
C 2.6422 5.3924 -7.9736 -0.04
C -0.8343 5.8889 0.9828 -0.08
H 4.9810 -1.7559 0.8456 0.08
O -1.7536 5.2084 1.9017 -0.18
C 2.1418 4.5151 9.2329 -0.20
N -6.3406 -4.2763 0.0360 0.02
H 15.3419 -5.1631 5.7812 0.12
H 11.1511 3.4740 6.6394 0.07
H 4.5413 0.0160 0.9510 0.09
H 14.6703 -7.1764 8.8480 0.08
N 0.1700 -1.3483 0.0781 -0.08
H 2.3055 -6.0976 5.7835 0.07
C -1.9342 5.9714 3.0904 -0.25
H -10.4118 -2.4849 -10.4297 0.07
H 1.2207 4.2256 8.7270 0.12
C -0.9395 -0.3350 -1.8897 -0.20
H -2.0350 -6.3777 6.8808 0.08
H -0.6175 0.5183 -2.4866 0.11
H -5.7115 7.9548 -6.8586 0.07
H 4.0077 6.6596 -9.0986 0.13
H -9.9254 -1.5974 -12.8940 0.11
C -7.8923 -3.1666 1.5161 -0.05
C 15.1415 -7.8329 8.1165 -0.05
H 14.5268 0.7335 6.8053 0.08
H 3.5920 -7.2299 6.0270 0.07
H -2.3648 6.9646 2.9625 0.13
C -2.7882 5.2456 4.0759 -0.43
H -1.8178 -12.2112 -7.4383 0.08
H -8.6624 -3.4614 -1.2043 0.13
C -0.6715 -9.8033 -5.4482 -0.16
C -3.4340 4.2080 -9.0285 -0.08
H -1.2541 -4.8049 7.0823 0.09
C -0.3462 -0.0924 -0.4768 -0.19
C -8.6220 -4.4108 -0.6704 -0.22
H 17.5793 -6.0786 6.7750 0.07
O -1.1289 -10.4159 -6.7033 -0.21
C -11.3779 2.6524 -1.0429 -0.09
C -9.8635 -0.5557 -12.5792 -0.19
H -3.5808 7.0601 -6.0624 0.13
H 0.8599 9.8226 -9.8675 0.09
H -4.2991 4.8401 2.5877 0.07
C 2.5883 -7.1363 5.6123 -0.05
H 2.3779 7.1722 12.5524 0.11
H -0.6356 -1.9538 0.1453 0.11
C -1.1866 -5.7663 6.5731 -0.11
C -4.4911 6.4700 -6.1680 -0.47
C -4.2743 5.2589 3.5938 -0.07
H -7.7646 -1.5317 -13.6443 0.08
N 17.0356 -6.4160 7.5563 0.03
H -0.4930 -8.0205 -3.4883 0.07
H 1.5673 -9.4984 4.7179 0.06
H -5.5895 7.9272 -5.2476 0.07
H 15.9790 -7.6035 6.1709 0.13
H -0.5274 -8.3389 6.5656 0.12
H 3.9824 8.3810 -7.8725 0.07
H -3.5499 5.0266 -5.0611 0.08
H -1.1631 6.9106 0.7926 0.08
C 2.0318 2.2770 10.1035 -0.13
H -0.8693 5.3717 0.0240 0.08
N 4.6039 -5.0140 -2.7650 0.02
H 1.9659 10.6917 12.4460 0.08
N 10.3464 1.6039 9.3484 0.02
H 0.1838 5.9856 1.3601 0.08
O 2.8562 3.3672 9.7584 -0.18
H 12.9995 2.2004 8.3919 0.12
H -12.9013 7.4090 -2.5377 0.09
C -4.4897 5.6803 -7.5010 -0.21
H -6.2021 -5.1372 -0.4737 0.07
H 11.1383 4.0157 8.1906 0.08
H 2.6335 1.6477 10.7592 0.09
H 1.6137 6.8604 -10.0215 0.12
H -3.1260 5.3030 6.0386 0.07
H 0.5355 0.5274 -0.6394 0.10
H 0.5052 8.6244 10.5864 0.09
C -3.0636 -0.5928 -3.0164 -0.10
H 6.5396 -6.6451 -3.5421 0.12
C 2.0283 7.5047 -9.2462 -0.21
H 0.4161 10.3409 11.8615 0.07
C -7.6568 -4.3656 0.5629 -0.44
H -6.3556 -3.6020 -0.7158 0.07
H 8.5129 -7.2069 -4.7175 0.08
=====
The calculated molecules stop here =

A graph of political figures
The Core Players in Hillary’s Crime Against America

By: Nick Russo     January 21, 2018

As we have been telling you for years now on this site: (here a just two examples)

Sept 2014: Benghazi Bombshell: Clinton’s State Dept Caught Obstructing Justice (Felony)

July 2017: America Must Prosecute Hillary And All Other Criminals Now

Hillary Clinton and her cabal of Insiders have committed gigantic Crimes Against Our Nation.  Specifically, Hillary Clinton and her crime network conspired to Illegally influence (Steal) a United States Presidential Election. 

Hillary and her cohorts were so arrogantly confident that she would win the 2017 Presidential election that they believed the crimes the cabal committed in order to secure the Presidency would never be revealed to the public.  They arrogantly believed that everything would be covered up by the Insiders.

But a miracle happened on November 7, 2017.  After overcoming all of their media manipulation and all the crimes designed to make him lose, Donald J. Trump was elected President of the United States.  And when Trump became President, he was able to access ALL CLASSIFIED INFORMATION within our intelligence agencies.  Some of this classified information contained smoking gun proof of the crimes committed and was never to see the light of day if Hillary would’ve won.  But, she did not win.

Flash-forward to today.  You have heard a lot recently about the “Congressional Memo” containing damaging info on the cabal inside the Department of Justice and the FBI which was illegally working against a political candidate at the time- Donald Trump.

This memo is from the House Intelligence Committee and is classified so secretively that the Memo is literally held inside the Congressional Sensitive Compartmented Information Facility (SCIF).  The memo was generated after an extensive investigation of the illegalities that took place during the campaign for President.

Here is what one Congressman had to say about the memo: (there are many Congressional members saying the same thing)

The House must immediately make public the memo prepared by the Intelligence Committee regarding the FBI and the Department of Justice. The facts contained in this memo are jaw-dropping and demand full transparency. There is no higher priority than the release of this information to preserve our democracy, Rep. Gaetz said. 

Here are the basics of what this Congressional Memo contains:

Hillary Clinton’s campaign AND the FBI paid money to a ‘former’ foreign spy to create a dossier containing damaging information on then candidate Trump.

This dossier, filled with undocumented and unsubstantiated fabrications, was then taken to a highly secretive court known as the F.I.S.A Court.  The purpose of this court is to to oversee requests for surveillance warrants against foreign spies inside the United States by federal law enforcement and intelligence agencies.

The dossier was used as probable cause evidence to obtain search warrants which gave the green light to Surveil (Spy) on candidate Donald Trump’s campaign communications and all other personal communications of Donald Trump.

Yes, that is correct.  One candidate in a Presidential Election campaign knowingly paid for  falsified information and with help from partisan Insiders in the FBI and Department of Justice used this false information to obtain the ability to listen to ALL communications of the rival candidate in the Presidential Election.  Beyond Watergate Spying.

And now this Congressional Memo, summarizing an investigation into these matters, remains classified.  But, a large number of Congressmen are currently working to release this information to the Public.

A large number of Congressmen have stated that the evidence inside this Memo incriminates many high level individuals inside some of our most trusted institutions and may even shake the foundations of our Republic.

Here is a video summary including Congressional investigators and the heroic reporter who broke the story:

At some point the American People are going to have to force our Congressional leaders to put high level government officials in jail. 

When this time comes, the Clinton cabal is going to blame the Trump administration for what they will try to label as a ‘Trump abuse of power’.  Hillary, in order to avoid going to jail, is going to use the main stream media to brainwash people into believing that Trump is trying to imprison his political competitors.

By claiming Trump is a ‘tyrant abusing his power’ they will try to tear the country apart.  Literally, they will risk burning the country down to keep Hillary and her cabal out of prison.  They may even try to impeach Trump if they can get enough of the People to believe the lie.

When you see this happening, remember that Trump promised he would do his best to clean up our American system and that is exactly what you are seeing manifest today.

One more promise kept:  HILLARY FOR PRISON.